Wanted:
Find the line further below that holds "0.7063 0.1825", then restate that line and all lines after it there, please.

Given:
'''
Diffraction record for LiBeAl2Cu4. The powder X-ray diffraction pattern is calculated, not measured: it uses a crystal structure in OQMD, relaxed with GGA-PBE and Cu Kα (weighted mean of Kα1 and Kα2).
Lines closer than 0.1° are merged.

Peak list (10 most intense, 10° ≤ 2θ ≤ 80°, low angle first)
Position (°2θ)  intensity
26.8  6.4
30.4  29.0
31.4  50.6
44.3  100.0
45.0  46.9
55.3  18.3
63.3  8.0
65.5  13.5
72.3  8.0
73.9  6.4

Cell lengths 7.1270, 7.1270, 7.1270 Å; angles 132.86, 132.86, 68.87 degrees
Atoms (fractional coordinates):
Li 0.3750 0.6250 0.7500
Li 0.6250 0.3750 0.2500
Be 0.1250 0.8750 0.2500
Be 0.8750 0.1250 0.7500
Al 0.1344 0.3844 0.7500
Al 0.3844 0.1344 0.2500
Al 0.6156 0.8656 0.7500
Al 0.8656 0.6156 0.2500
Cu 0.0000 0.2308 0.2308
Cu 0.0000 0.7692 0.7692
Cu 0.2308 0.0000 0.7308
Cu 0.2308 0.5000 0.2308
Cu 0.5000 0.2308 0.7308
Cu 0.5000 0.7692 0.2692
Cu 0.7692 0.0000 0.2692
Cu 0.7692 0.5000 0.7692

* * * * *

Starting from a cell relaxed with GGA-PBE, the powder XRD pattern of Sm6GeIr2 was calculated for Cu Kα, 1.54184 Å.
Intensities are scaled so that the largest is 100.

Cell: 7.7232 7.7232 4.5903 Å, 90.00 90.00 120.00°
Fractional coordinates of all 9 atoms:
1 Sm 0.0000 0.4061 0.0000
2 Sm 0.0000 0.7302 0.5000
3 Sm 0.2698 0.2698 0.5000
4 Sm 0.4061 0.0000 0.0000
5 Sm 0.5939 0.5939 0.0000
6 Sm 0.7302 0.0000 0.5000
7 Ge 0.0000 0.0000 0.0000
8 Ir 0.3333 0.6667 0.5000
9 Ir 0.6667 0.3333 0.5000

Largest 6 diffraction maxima, sorted by position, 2θ = 10–90°:
2.955 Å, 30.25 deg, intensity 100
2.703 Å, 33.14 deg, intensity 70
2.528 Å, 35.51 deg, intensity 35
2.295 Å, 39.25 deg, intensity 30
2.229 Å, 40.46 deg, intensity 38
1.599 Å, 57.64 deg, intensity 27



Starting from a cell relaxed with GGA-PBE, the powder XRD pattern of TbSmGe2Ir was calculated for Cu Kα, 1.54184 Å.
Intensities are scaled so that the largest is 100.

Cell: 5.7543 5.7543 10.4428 Å, 114.83 114.83 44.28°
Fractional coordinates of all 10 atoms:
1 Tb 0.0094 0.0094 0.3316
2 Tb 0.9906 0.9906 0.6684
3 Sm 0.1913 0.1913 0.1180
4 Sm 0.8087 0.8087 0.8820
5 Ge 0.3522 0.3522 0.4479
6 Ge 0.4829 0.4829 0.1179
7 Ge 0.5171 0.5171 0.8821
8 Ge 0.6478 0.6478 0.5521
9 Ir 0.2704 0.2704 0.6614
10 Ir 0.7296 0.7296 0.3386

Largest 6 diffraction maxima, sorted by position, 2θ = 10–90°:
2.764 Å, 32.39 deg, intensity 79
2.697 Å, 33.21 deg, intensity 100
2.660 Å, 33.70 deg, intensity 29
2.466 Å, 36.44 deg, intensity 39
2.264 Å, 39.82 deg, intensity 71
2.169 Å, 41.65 deg, intensity 56



Starting from a cell relaxed with GGA-PBE, the powder XRD pattern of SmTmGe2Ir was calculated for Cu Kα, 1.54184 Å.
Intensities are scaled so that the largest is 100.

Cell: 5.7307 5.7307 10.4055 Å, 115.10 115.10 44.11°
Fractional coordinates of all 10 atoms:
1 Sm 0.0062 0.0062 0.3272
2 Sm 0.9938 0.9938 0.6728
3 Tm 0.1879 0.1879 0.1189
4 Tm 0.8121 0.8121 0.8811
5 Ge 0.3502 0.3502 0.4454
6 Ge 0.4783 0.4783 0.1123
7 Ge 0.5217 0.5217 0.8877
8 Ge 0.6498 0.6498 0.5546
9 Ir 0.2736 0.2736 0.6690
10 Ir 0.7264 0.7264 0.3310

Largest 6 diffraction maxima, sorted by position, 2θ = 10–90°:
2.743 Å, 32.65 deg, intensity 82
2.684 Å, 33.39 deg, intensity 100
2.651 Å, 33.81 deg, intensity 32
2.456 Å, 36.59 deg, intensity 37
2.247 Å, 40.14 deg, intensity 90
2.152 Å, 41.99 deg, intensity 78



Starting from a cell relaxed with GGA-PBE, the powder XRD pattern of TaGe2Ir2 was calculated for Cu Kα, 1.54184 Å.
Intensities are scaled so that the largest is 100.

Cell: 8.5796 12.6406 2.9498 Å, 90.00 90.00 90.00°
Fractional coordinates of all 20 atoms:
1 Ta 0.1088 0.1309 0.0000
2 Ta 0.3912 0.6309 0.5000
3 Ta 0.6088 0.3691 0.5000
4 Ta 0.8912 0.8691 0.0000
5 Ge 0.1160 0.5599 0.0000
6 Ge 0.2063 0.3175 0.5000
7 Ge 0.2937 0.8175 0.0000
8 Ge 0.3840 0.0599 0.5000
9 Ge 0.6160 0.9401 0.5000
10 Ge 0.7063 0.1825 0.0000
11 Ge 0.7937 0.6825 0.5000
12 Ge 0.8840 0.4401 0.0000
13 Ir 0.0827 0.7219 0.5000
14 Ir 0.1436 0.9441 0.5000
15 Ir 0.3564 0.4441 0.0000
16 Ir 0.4173 0.2219 0.0000
17 Ir 0.5827 0.7781 0.0000
18 Ir 0.6436 0.5559 0.0000
'''

Solution:
10 Ge 0.7063 0.1825 0.0000
11 Ge 0.7937 0.6825 0.5000
12 Ge 0.8840 0.4401 0.0000
13 Ir 0.0827 0.7219 0.5000
14 Ir 0.1436 0.9441 0.5000
15 Ir 0.3564 0.4441 0.0000
16 Ir 0.4173 0.2219 0.0000
17 Ir 0.5827 0.7781 0.0000
18 Ir 0.6436 0.5559 0.0000